To do
The reader should find the line underneath that holds "9.776", then set down that line and all lines after it there.
Contents
No. 1
! ThCrO7 | Materials Project | PBE+U | relaxed; values from VASP
! ΔH_f (0 K)   -1754 meV per atom
! Total DFT energy (no corrections)   -6.92 eV/atom
! E (MP2020)   -0.551 Ry/atom
&SYSTEM
  ibrav = 0, nat = 18, ntyp = 3
/
ATOMIC_SPECIES
Th 232.04 Th.upf
Cr 52.00 Cr.upf
O 16.00 O.upf
ATOMIC_POSITIONS angstrom
Th 0.383 1.642 1.517
Th 3.758 4.927 5.599
Cr 0.396 4.927 3.796
Cr 3.744 1.642 3.321
O -1.186 4.927 4.312
O -2.055 3.297 6.957
O -2.055 6.558 6.957
O 0.681 3.575 2.878
O 0.681 6.279 2.878
O 0.642 1.642 5.369
O 1.420 4.927 5.110
O 2.721 1.642 2.006
O 3.498 4.927 1.747
O 3.460 0.290 4.238
O 3.460 2.995 4.238
O 6.196 0.012 0.159
O 6.196 3.273 0.159
O 5.327 1.642 2.805
CELL_PARAMETERS angstrom
6.923 0.000 0.000
0.000 6.569 0.000
-2.782 0.000 7.116

***

No. 2
! FeOF | Materials Project | PBE+U | relaxed; values from VASP
! ΔH_f (0 K)   -2022 meV per atom
! Total DFT energy (no corrections)   -6.00 eV/atom
! E (MP2020)   -0.524 Ry/atom
&SYSTEM
  ibrav = 0, nat = 36, ntyp = 3
/
ATOMIC_SPECIES
Fe 55.84 Fe.upf
O 16.00 O.upf
F 19.00 F.upf
ATOMIC_POSITIONS angstrom
Fe 0.000 0.000 0.000
Fe -0.047 0.000 9.476
Fe 1.940 1.554 11.906
Fe 2.032 1.554 2.345
Fe 2.139 1.554 7.296
Fe 4.470 0.000 0.316
Fe 4.507 0.000 9.341
Fe 4.686 0.000 4.750
Fe 6.697 1.554 7.140
Fe 6.818 1.554 2.474
Fe 6.823 1.554 11.959
Fe 9.279 0.000 4.543
O 0.623 1.554 8.541
O 0.690 1.554 3.846
O 0.673 1.554 13.374
O 1.216 0.000 1.493
O 1.201 0.000 10.981
O 3.039 0.000 8.068
O 3.594 1.554 1.055
O 5.401 1.554 3.857
O 5.462 1.554 8.676
O 5.954 0.000 6.256
O 6.018 0.000 1.502
O 7.802 0.000 3.261
F 1.187 0.000 6.180
F 3.041 0.000 3.421
F 3.075 0.000 12.863
F 3.521 1.554 5.694
F 3.576 1.554 10.508
F 5.333 1.554 13.445
F 5.848 0.000 11.038
F 7.768 0.000 12.905
F 7.815 0.000 8.096
F 8.303 1.554 10.443
F 8.371 1.554 0.871
F 8.349 1.554 5.718
CELL_PARAMETERS angstrom
9.504 0.000 0.000
0.000 3.108 0.000
-0.079 0.000 14.296

***

No. 3
! La24Ni12O49 | Materials Project | PBE+U | relaxed; values from VASP
! ΔH_f (0 K)   -3032 meV per atom
! Total DFT energy (no corrections)   -7.34 eV/atom
! E (MP2020)   -0.595 Ry/atom
&SYSTEM
  ibrav = 0, nat = 85, ntyp = 3
/
ATOMIC_SPECIES
La 138.91 La.upf
Ni 58.69 Ni.upf
O 16.00 O.upf
ATOMIC_POSITIONS angstrom
La 0.000 0.000 0.000
La 5.826 13.647 6.237
La 5.838 9.740 9.782
La 3.893 7.766 3.470
La 7.728 11.728 12.617
La 5.797 9.727 6.286
La 5.795 5.869 9.786
La 3.875 3.829 3.486
La 5.852 5.861 6.285
La 7.822 7.845 12.626
La 7.779 11.779 3.483
La 9.722 13.644 9.763
La 11.662 15.567 12.620
La 5.840 1.965 6.233
La 7.757 7.817 3.463
La 9.724 9.790 9.776
La 11.706 11.713 12.611
La 9.767 9.720 6.282
La 7.827 3.834 3.533
La 9.779 5.820 9.786
La 9.692 5.878 6.288
La 11.669 7.784 12.630
La 11.665 11.720 3.537
La 13.630 13.683 9.764
Ni 3.877 3.885 8.017
Ni 1.945 1.934 1.697
Ni 5.821 9.752 1.744
Ni 7.773 11.716 8.002
Ni 7.786 7.809 8.080
Ni 5.831 5.851 1.750
Ni 5.817 1.936 1.709
Ni 7.789 3.920 8.039
Ni 9.734 9.755 1.755
Ni 11.685 11.682 8.019
Ni 9.736 5.846 1.754
Ni 11.696 7.793 8.065
O 3.826 7.822 5.812
O 5.810 9.871 12.105
O 5.816 11.721 8.072
O 3.866 5.837 8.088
O 1.900 3.899 1.663
O 3.867 9.712 1.708
O 3.803 3.877 10.296
O 2.381 1.989 3.870
O 5.700 5.750 12.101
O 3.954 3.913 5.832
O 5.801 11.701 1.779
O 7.767 13.665 8.114
O 3.873 5.862 1.666
O 5.831 7.792 7.993
O 7.849 11.713 10.294
O 5.858 9.649 3.945
O 7.710 11.695 5.826
O 9.733 13.750 12.104
O 7.782 9.763 8.073
O 5.836 3.880 8.091
O 5.820 7.800 1.658
O 3.883 1.934 1.403
O 7.706 7.854 10.312
O 5.774 5.982 3.945
O 5.369 1.905 3.872
O 9.756 9.669 12.100
O 7.842 7.760 5.805
O 7.795 5.864 8.233
O 9.734 11.735 7.981
O 7.778 9.738 1.675
O 5.864 3.900 1.785
O 7.887 3.827 10.293
O 7.743 4.442 5.844
O 9.885 5.941 12.101
O 7.784 5.891 1.715
O 9.741 7.807 8.093
O 11.691 13.669 7.934
O 9.758 11.702 1.665
O 11.606 11.791 10.282
O 9.688 9.790 3.950
O 7.790 1.912 4.933
O 13.644 13.557 12.107
O 11.695 9.740 8.238
O 7.793 1.930 1.853
O 9.732 7.800 1.793
O 9.740 3.874 7.973
O 11.714 11.121 5.848
O 9.789 5.812 3.954
Reply
La 9.724 9.790 9.776
La 11.706 11.713 12.611
La 9.767 9.720 6.282
La 7.827 3.834 3.533
La 9.779 5.820 9.786
La 9.692 5.878 6.288
La 11.669 7.784 12.630
La 11.665 11.720 3.537
La 13.630 13.683 9.764
Ni 3.877 3.885 8.017
Ni 1.945 1.934 1.697
Ni 5.821 9.752 1.744
Ni 7.773 11.716 8.002
Ni 7.786 7.809 8.080
Ni 5.831 5.851 1.750
Ni 5.817 1.936 1.709
Ni 7.789 3.920 8.039
Ni 9.734 9.755 1.755
Ni 11.685 11.682 8.019
Ni 9.736 5.846 1.754
Ni 11.696 7.793 8.065
O 3.826 7.822 5.812
O 5.810 9.871 12.105
O 5.816 11.721 8.072
O 3.866 5.837 8.088
O 1.900 3.899 1.663
O 3.867 9.712 1.708
O 3.803 3.877 10.296
O 2.381 1.989 3.870
O 5.700 5.750 12.101
O 3.954 3.913 5.832
O 5.801 11.701 1.779
O 7.767 13.665 8.114
O 3.873 5.862 1.666
O 5.831 7.792 7.993
O 7.849 11.713 10.294
O 5.858 9.649 3.945
O 7.710 11.695 5.826
O 9.733 13.750 12.104
O 7.782 9.763 8.073
O 5.836 3.880 8.091
O 5.820 7.800 1.658
O 3.883 1.934 1.403
O 7.706 7.854 10.312
O 5.774 5.982 3.945
O 5.369 1.905 3.872
O 9.756 9.669 12.100
O 7.842 7.760 5.805
O 7.795 5.864 8.233
O 9.734 11.735 7.981
O 7.778 9.738 1.675
O 5.864 3.900 1.785
O 7.887 3.827 10.293
O 7.743 4.442 5.844
O 9.885 5.941 12.101
O 7.784 5.891 1.715
O 9.741 7.807 8.093
O 11.691 13.669 7.934
O 9.758 11.702 1.665
O 11.606 11.791 10.282
O 9.688 9.790 3.950
O 7.790 1.912 4.933
O 13.644 13.557 12.107
O 11.695 9.740 8.238
O 7.793 1.930 1.853
O 9.732 7.800 1.793
O 9.740 3.874 7.973
O 11.714 11.121 5.848
O 9.789 5.812 3.954